韓國十月文化節 II

Festive Korea

攝影探索夢幻之國 細味秋冬美態


Consul General Cho Yong Chun, Director of Korea Tourism Organization KJay Ham, Executive Director EGL Tours Steve Huen and Travel Photographer Tony Ho and Richard Lau officiated the ribbon cutting ceremony

135 masterpieces were exhibited

Introduced Korea sightseeing spots to visitors

Korea has distinguished four seasons, and each season has its own beauty. In response to “Festive Korea”, Korea Tourism Organization has hosted “Korea, the Dreamland of Autumn and Winter Photography Exhibition” on 28-30 September in Hong Kong Cultural Centre, showcasing 135 masterpieces by photographers Mr. Tony Ho and Mr. Richard Lau. The exhibition has attracted 20,000 visitors.

Culture ambassadors in traditional Korean attires took photos with citizens

Photographer explained his idea of creation

• Calculated molecules, kept here for reference:
- - -
Entry 1:
{"formula": "C5H26NO9", "method": "ωB97M-V with the def2-TZVPD basis set", "total_energy_ev": -25526.175, "mol_weight_g_mol": 244.26, "lumo_ev": 3.099, "charge": -1, "de_lowest_kcal_mol": 14.72, "largest_force_ev_per_a": 4.7, "symbols": ["C", "O", "C", "C", "C", "C", "N", "H", "H", "H", "H", "H", "H", "H", "H", "H", "H", "H", "H", "O", "H", "H", "O", "H", "H", "O", "H", "H", "O", "H", "H", "O", "H", "H", "O", "H", "H", "O", "H", "H", "O"], "xyz": [[1.211, 0.163, 2.248], [0.386, 1.276, 2.252], [0.814, -0.894, 1.180], [0.029, -0.276, 0.039], [-0.107, -1.176, -1.182], [1.035, -0.253, -3.044], [1.087, -1.052, -2.024], [2.239, 0.586, 2.058], [1.247, -0.268, 3.228], [0.254, -1.717, 1.666], [1.686, -1.352, 0.813], [0.568, 0.712, -0.272], [-0.927, 0.021, 0.372], [-1.047, -0.941, -1.740], [-0.144, -2.234, -0.878], [1.895, -0.137, -3.580], [0.259, 0.328, -3.365], [-0.816, 2.743, 0.045], [0.342, 2.387, 0.970], [0.182, 2.877, 0.093], [-2.547, -0.485, 1.801], [-1.842, -1.913, 1.363], [-2.705, -1.541, 1.493], [1.773, -3.341, -0.234], [2.352, -2.477, -1.319], [2.538, -3.318, -0.847], [2.457, 1.129, 0.100], [2.771, -0.018, -0.844], [3.136, 0.850, -0.559], [-3.545, -2.074, -1.330], [-3.143, -1.243, -0.069], [-3.348, -1.164, -1.086], [0.846, 2.513, -1.418], [2.254, 1.821, -1.792], [1.379, 2.120, -2.167], [-2.360, 1.695, 1.041], [-2.585, 1.540, -0.526], [-2.408, 2.243, 0.119], [-0.651, 1.014, 2.251], [-2.504, 1.082, 2.967], [-2.064, 0.773, 2.176]], "nbo_charge": [-0.044, -0.810, -0.444, -0.455, -0.262, 0.032, -0.516, 0.152, 0.156, 0.178, 0.202, 0.238, 0.233, 0.221, 0.171, 0.156, 0.168, 0.507, 0.502, -1.050, 0.512, 0.455, -1.036, 0.457, 0.496, -0.969, 0.482, 0.490, -0.952, 0.453, 0.504, -1.016, 0.512, 0.489, -1.037, 0.508, 0.473, -1.026, 0.512, 0.471, -1.113]}



Entry 2:
- - -
• Back to the entry:


藝術《光束》耀眼盛放 展現當代畫作

香港三大韓國畫廊 ─ CAIS 畫廊、Moon 畫廊和申畫畫廊今年再度與韓國駐香港總領事館合作,於尖沙嘴海港城美術館呈獻韓國當代藝術展《光束》。六位獨當一面的韓國藝術家運用不同媒介,


Korean Contemporary Art Exhibition “BEAM” in Gallery by the Harbour

Choi So-young portrays cityscapes of Korea with denim



Lee So-yeun’s paintings mainly focus on self-portraits, which create a subtle theatrical atmosphere

Three Korean galleries in Hong Kong, CAIS Gallery, Moon Gallery and Shin Hwa Gallery collaborated with Consulate General of the Republic of Korea in Hong Kong jointly presented Korean Contemporary Exhibition “BEAM”. It featured six endeavor Korean artists: Choi So-young, Lee So-yuen, Ha Jung-woo, Kwon Hyun-jin, Lee Kyu-hong and Park Sung-tae, who used special medium for artworks, including denim, crayons, watercolors, glass and aluminum mesh.

Lee So-yeun’s paintings mainly focus on self-portraits, which create a subtle theatrical atmosphere. She is bringing her own imagination into the actual places, with a different and interesting perspective. The idea of this series is about her dream, places where she wishes to be and things that she wishes to have. Choi So-young uses a very special medium for her artworks. It is a very refreshing attempt of transforming a unexpected material in art, such as denim into an artwork. She portrays cityscapes of Korea.

Lee Kyou-hong makes the most of the character of the glass and brings brightness to his work

Park Sung-tae uses aluminum net to create horses full of power and speed

Mega movie star Ha Jung-woo’s works are constantly playing mind-game with the audience; which paintings are ‘real’ Ha and which are merely characters he acted. We have to find out ourselves. Artist Kwon Hyun-jin’s paintings may seem to be pure abstraction to some, but they are in fact a journey of self-discovery and poetry of a young woman. A way of mixing the
subconsciousness with the consciousness.

Lee Kyou-hong makes the most of the character of the glass, which retain the light even when it’s not with particularly bright sunshine. It’s mystically beautiful. The landscape behind the glass is very realistic yet not remote. The glass dews on the surface add freshness and brightness. Park Sung-tae uses aluminum net to create horses full of power and speed. The horses are
extraordinary combination of lightness of see-through material with exquisite details and the heaviness of subject matter, delivering beautiful visual absurdity.

“BEAM”, closed on 11 November, was well received by Hong Kong people as well as tourists. The four-day exhibition has showcased twenty art-pieces, recorded 3,200 visitors.

Through contemporary art pieces, visitors appreciated Korean culture from another point of view

Exhibition was well received by Hong Kong people as well as tourists


另類電影深刻題材 綻放獨特色彩







《赤腳夢想》描述一位曾經叱吒體壇、表現備受矚目的足球員金元光,退役後來到發展中的東帝汶,看到街上一群光著腳踢球的孩子們,決定把自己對足球的熱情與知識,傾囊相授,並成立了東帝汶第一支青少年足球隊。 本片由世界足球「神奇教練」金信煥真實經歷改編。二零零二年東帝汶獨立後,金信煥只花了三年時間,就將東帝汶青少年足球隊帶向國際比賽,並獲得國際冠軍的殊榮,因此獲得「神奇教練」之美稱。


“A Reason to Live”


Last year’s Korean Film Festival concluded with big success. This year, a series of movies were selected including “M”, “Woochi”, “Pacemaker”, “Barefoot Dream” and “A Reason to Live”.
Main character of “M”, Min woo, was a handsome and young famous bestselling author and his fiancée is planning to get married. Recently, however, image of Minwoo’s first girlfriend, who died in an accident few years ago, frequently came into his mind. At the same time, a pretty woman mysteriously appeared in Min-woo’s daily life – in the park near his home, in the Café he frequently goes, and in the Press Conference of his new book. Like a shadow, the woman appeared everywhere, stared at Minwoo quietly. As Min-woo stepped forward to talk to her, she disappeared without a trace.

-- begin --
117
Properties=species:S:1:pos:R:3 method="wB97M-V/def2-TZVPD" max_force_ev_per_a=4.1 total_energy_ha=-4007.1993 multiplicity=1 e_above_lowest_kcal_mol=88.52
Sn -10.82796 -8.67816 -18.81591
C -13.64505 -8.79443 -22.18376
C -12.72385 -9.95377 -22.01285
N -11.36794 -9.60090 -21.59798
C -10.62352 -8.75257 -22.60486
C -11.04751 -7.27152 -22.61656
C -10.56992 -10.84413 -21.31115
C -11.06840 -11.65691 -20.11396
N -11.38385 -10.86557 -18.97405
C -11.69731 -11.53473 -17.81724
C -12.53741 -10.92934 -16.88221
F -12.58290 -9.55299 -16.87158
C -13.20623 -11.62355 -15.89835
F -14.13508 -11.08977 -15.08011
C -12.88090 -12.95517 -15.65191
C -11.88316 -13.50734 -16.43385
F -11.38668 -14.73084 -16.21202
C -11.23984 -12.80233 -17.44453
F -10.13088 -13.34817 -17.98647
H -14.67747 -9.13122 -22.04306
H -13.55830 -8.43615 -23.19779
H -13.41802 -7.92942 -21.52434
H -12.60354 -10.38603 -23.01920
H -13.15716 -10.67583 -21.31220
H -10.79913 -9.20381 -23.59243
H -9.55104 -8.76437 -22.47434
H -10.17894 -6.71171 -23.01914
H -11.33450 -6.92225 -21.66695
H -11.90988 -7.17010 -23.23211
H -9.52427 -10.56995 -21.22763
H -10.68788 -11.50328 -22.21266
H -10.30218 -12.43194 -19.86217
H -11.97430 -12.21896 -20.41283
H -13.27606 -13.47344 -14.77860
C -5.97106 -11.27193 -21.62151
P -6.62328 -9.62893 -21.17775
C -5.04087 -8.65179 -20.74934
N -4.32975 -8.59218 -19.55762
C -3.27011 -7.71834 -19.71458
C -2.40856 -7.54547 -18.58432
C -1.39196 -6.61369 -18.55250
C -1.05980 -5.95308 -19.71910
C -1.83372 -6.12295 -20.83503
C -2.90589 -6.98032 -20.89670
N -3.60038 -7.16091 -22.07671
C -4.68129 -7.94823 -21.91544
P -5.92573 -8.43869 -23.07584
C -7.04430 -7.01695 -23.34408
C -4.99823 -8.96590 -24.61082
C -6.02949 -9.22218 -25.69069
C -4.10685 -10.13772 -24.48275
C -4.07828 -7.73603 -24.99601
C -8.07903 -9.51089 -17.01959
C -6.54689 -9.69993 -17.12780
C -7.72656 -6.99738 -17.06864
C -8.73180 -10.64763 -16.26643
H -5.33844 -11.61818 -20.84275
H -5.45140 -11.36416 -22.55098
H -6.89621 -11.94286 -21.67300
H -2.65119 -8.06533 -17.65194
H -0.86035 -6.37407 -17.65247
H -0.22491 -5.22284 -19.76699
H -1.56166 -5.65566 -21.78129
H -6.54091 -6.00965 -23.17765
H -7.81472 -7.15720 -22.58363
H -7.53958 -7.06647 -24.29987
H -6.69689 -10.05470 -25.42031
H -5.59436 -9.32019 -26.64456
H -6.66377 -8.34995 -25.87521
H -4.57044 -11.14372 -24.67320
H -3.61386 -10.14236 -23.50805
H -3.32321 -10.14904 -25.30308
H -4.51253 -6.76757 -24.84890
H -3.76274 -7.78554 -26.07980
H -3.14923 -7.80399 -24.42779
H -6.08509 -8.88027 -17.69004
H -6.38832 -10.57694 -17.74859
H -6.02407 -9.87338 -16.12042
H -6.74048 -6.92261 -16.67275
H -8.25606 -6.01625 -16.85424
H -7.69684 -7.08802 -18.15150
H -8.41555 -11.52470 -16.81136
H -9.84509 -10.55051 -16.38241
H -8.39164 -10.63951 -15.22953
C -8.30204 -4.00716 -20.32253
C -8.74060 -5.37363 -20.30135
N -9.05528 -6.49299 -20.30663
H -8.69996 -3.47740 -21.21520
H -7.19498 -3.91009 -20.37424
H -8.57683 -3.39617 -19.45512
I -11.73127 -5.45321 -13.86413
C -10.36168 -6.70929 -14.79977
-- stop --


Jeon Woo-chi successfully traveled five hundred years and came to modern Seoul with his faithful dog and a group of Taoists. To fight against his enemies, they started a war with his superb power of Taoism in the city, between high-rise buildings and array of vehicles.

In “Pacemaker”, Joo Man-Ho, once a promising marathon runner, was forced to give up his dreams because of a critical leg injury and to support his younger brother. Still unable to leave the track & field for good, Joo Man-Ho then became a pacemaker - a runner who leads his team during the first section of a marathon event before dropping out. This is a story about how a pacemaker strived to make his dream come true.

The 2nd Korean Film Festival took place in Korean Consulate

“A barefoot dream” is about a high-profile soccer player, Kim won-kang, once shook the sport world. After retiring from his team, Kim happens to visit the developing country – East Timor. On the way, he came across children playing football game barefoot on rocky pitches. Originally Kim planned to get rich by peddling sports shoes to these unshod kids, eventually he sadly found out that on one can afford to a single pair of imitation shoes. However, in poor place, there is noble dream, deeply moved by children’s burning desire of football, Kim decided to trained them with his passion and knowledge. The first East Timor’s youth football team is established. This film is adapted from the real experience of Kim Sang-hoon. After the independence of East Timor in 2002, Kim has trained the first youth football team shortly in three year and won international championship. He is called “Magic Coach of the Football World” since then.

“A Reason to Live” tells story about documentary filmmaker Da-hae who lost her fiance by a hit and run accident on her birthday. But she forgives the criminal who was a 15-year-old boy based on her belief as a Catholic and signs a petition for him to revoke the juvenile's death penalty. One year later, Da-hae is commissioned by the Catholic Church to make a documentary on the inhumanity of capital punishment. However, her moral convictions and desire to be compassionate are seriously questioned when she finds out that the teenage driver killed a classmate, not long after his reprieve.

Audiences enjoyed movies

This year’s Korean Film Festival has screened nine films in 8-29 October in Korean Consulate and The University of Hong Kong respectively. All films are shown in Korean with English subtitle. Free tickets are distributed to public through online registration system. More than 1,000 people registered, with occupancy rate exceeded 97.3%.


大師夥拍本地樂團 盡展超凡造詣

本年「韓國十月文化節」的古典音樂表演五色紛陳,韓國大提琴家梁盛苑,聯同本地交響樂團Pro Arte 攜手呈獻《德伏扎克大提琴協奏曲》、新晉韓國音樂家組成的鋼琴三重奏樂團Via Trio 再度來港演出,韓國古典音樂家朱亨基及小提琴家易高文接受香港小交響樂團的邀請首度來港,為觀眾帶來豐富音樂表演。

梁盛苑是樂壇享負盛名的大提琴藝術家,出生於韓國首爾,畢業於巴黎音樂學院及印第安納大學音樂學院。榮獲多個獎項的梁盛苑,現任韓國延世大學音樂學院教授、倫敦皇家音樂學院駐校教授及LG 室樂學院之藝術總監。梁氏曾於世界各大主要音樂廳獻技,包括紐約林肯中心的艾利絲.塔利廳、巴黎的白樂業廳、阿姆斯特丹的皇家音樂廳、華盛頓甘迺迪中心平台劇院、東京歌劇城、大阪交響音樂廳及北京國家大劇院等,無論的是獨奏會或各項演出,皆獲極高之評價,演藝足跡遍及倫敦、羅馬、法蘭克福、馬德里、布拉格、赫爾辛基、波士頓、西雅圖、特拉維夫、上海、悉尼等全球多個城市。他的首張大碟全高大宜樂曲專輯獲英國《留聲機雜誌選為編輯之選(二零零三年二月) 及年度樂評之選( 二零零三年十二月),更於同年獲提名角逐荷蘭愛迪生獎最佳首張個人獨奏大碟獎。

Via Trio 以西方樂器奏出韓國傳統旋律
Vi a Trio played traditional Korean folk songs with western musical instrucment

梁盛苑於本年「韓國十月文化節」應本地樂團Pro Arte 的邀請來到香港,於十月二十三日在香港浸會大學大學會堂呈獻了《德伏扎克大提琴協奏曲》。演出曲目包括柴可夫斯基的《天鵝湖》組曲以及德伏扎克的大提琴B 小調協奏曲等,吸引了八百名觀眾入場欣賞。

此外,三位新晉韓國音樂家組成的鋼琴三重奏樂團Via Trio 今年再度來港以西方樂器奏出韓國傳統旋律,令人耳目一新。

鋼琴三重奏樂團Via Trio,成員包括三位傑出音樂家: 小提琴家Lee Joo Hee, 大提琴家 Seo Ji Yoon以及鋼琴家Hye Eun。她們積極在世界各地推廣韓國音樂。Via Trio 發行了專輯:「Via Trio,到歐洲讓人聽到阿里郎」,並在二零零九及二零一一年到歐洲遊走演出,參加了當地的三大藝術節:愛丁堡國際藝術節、亞維農藝術節以及葛拉斯頓貝里藝術節。更在葛拉斯頓貝里藝術節中成為首隊獲邀演出的韓國團隊。

Korean musician Hyung-ki Joo and violist Aleksey Igudesman presented hilarious concert “BIG Nightmare Music”

Via Trio 以鋼琴、小提琴、二胡和結他合奏了多首韓國傳統民謠,包括《Menari From String》、《Lullaby》、《Song of Heunglyul Lee》、《阿里朗》及中國民謠《茉莉花》等。三場演奏會於十月十八日至二十日期間在藝穗會舉行,共吸引了二百名音樂愛好者出席。

本年「韓國十月文化節」期間,香港小交響樂團邀請到風靡全球的韓國「另類」古典音樂家朱亨基及小提琴家易高文,以他們獨一無二的鬼馬風格及舞台語言,將喜劇、古典音樂和流行文化巧妙結合, 與香港小交響樂團使出渾身解數,聯手炮製《搞鬼孖寶大樂隊》,巧妙演繹莫扎特、巴赫、韋華特、史特勞斯及貝多芬等名作,並獲得極大回響,十月十九日至二十一日於香港大會堂三場演出,全院滿座,錄得四千二百九十人次入場觀看。

Fruitful classical music concerts were hosted in this year’s “Festive Korea”, Korean cellist Sung-Won Yang jointly presented “Sung-Won Yang’s Dvorak Cello Concerto” with local orchestra Pro Arte, young talented trio group Via Trio hosted their second concert in Hong Kong, Korean musician Hyung-ki Joo and violist Aleksey Igudesman were invited by Hong Kong Sinfonietta to bring exciting classical music performance to Hong Kong.

Sung-Won Yang, is an exclusive universal music Korea artist born in Seoul. He graduated from the Paris Conservatory and Indiana University. As a recipient of numerous awards, he is currently Professor of Cello at Yonsei University School of Music in Seoul, Professor in Residence at Royal Academy of Music in London as well as the Artistic director of LG Chamber music school.

Korean musician Hyung-ki Joo and violist Aleksey Igudesman presented hilarious concert “BIG Nightmare Music”

Yang has appeared all over the world as a soloist and as a chamber musician. He has given highly acclaimed solo recitals and performances in prestigious concert halls such as the Alice Tully Hall at New York’s Lincoln Center, the Salle Pleyel in Paris, the Concertgebouw in Amsterdam, the Terrace Theater at the Kennedy Center in Washington D.C, the Opera City Hall in Tokyo, the Symphony Hall in Osaka, and the National Center for the Performing Arts in Beijing. His performances have also taken him to other major cities such as London, Rome, Frankfurt, Madrid, Prague, Helsinki, Boston, Seattle, Tel Aviv, Shanghai, Sydney, and many others. His all-Kodaly debut album was chosen as Editor’s Choice of the month by Gramophone Magazine (Feb. 2003), Critic’s Choice of the year for also by Gramophone Magazine in the UK (Deb. 2003), as well as being nominated as best solo debut album at the Edison Awards in Holland (2003).

Invited by local orchestra Pro Arte in this year’s Festive Korea, Sung-Won Yang has performed in “Sung- Won Yang’s Dvorak Cello Concerto” on 23 October in Hong Kong Baptist University Academic Community Hall. Tchaikovsky’s “Swan Lake Suite” and Dvorak’s “Cello Concerto in B minor” were presented, 800 audiences have attended the concert.

In addition, Via Trio, a trio orchestra composed by three young talented musicians had their concerts in Hong Kong again this year. They presented traditional Korean folk songs with Western musical instruments.

韓國大提琴家梁盛苑聯同本地交響樂團Pro Arte 攜手呈獻《德伏扎克大提琴協奏曲》
Korean cellist Sung-Won Yang jointly performed with Pro Arte in “Sung-Won Yang’s Dvorak Cello Concerto”

Via Trio is a piano trio team comprises three outstanding Korean musicians, violinist Lee Joo Hee, cellist Seo Ji Yoon and pianist Hye Eun. They spread Korea's melody worldwide. Via Trio issued a record titled, "Via Trio, Go Europe to have people hear Arirang". They traveled Europe in 2009 and 2011 and have participated top 3 festivals in Europe; Edinburgh Festival, Avinyong Festival, and Glastonbury Festival.

Glastonbury Festival have invited Via Trio, as the first Korean performer.
Via Trio ensembled various Korean folk songs including “Menari From String”, “Lullaby”, “Song of Heunglyul Lee”, “Arirang” and Chinese folk song “Jasmine” with piano, violin and erhu. The three concerts in 18-20 October have attracted 200 audiences.

During Festive Korea this year, Hong Kong Sinfonietta have invited two classical musicians taken the world by storm with unique and hilarious theatrical shows, Korean musician Hyung-ki Joo and violist Aleksey Igudesman.

By combining comedy with classical music and popular culture, the two musicians jointly presented with Hong Kong Sinfonietta three shows in 19-21 October in Hong Kong City Hall “BIG Nightmare Music”, recorded audience of 4,290. The show included music by Mozart, Rachmaninov, Bach, Vivaldi, Strauss and Betthoven.

韓國大提琴家梁盛苑聯同本地交響樂團Pro Arte 攜手呈獻《德伏扎克大提琴協奏曲》
Korean cellist Sung-Won Yang jointly performed with Pro Arte in “Sung-Won Yang’s Dvorak Cello Concerto”


天然食材藝術創作 體驗慢食文化


Cho Hyun-Jae cooked Korean pancake


Cho shared her experiences of Korean cooking

Korean artist Cho Hyun-Jae has extensive experience making traditional Korean fermented sauces, has studied the efficacy of wild plants, and enjoys experimenting with wild plants and seeds to create interesting sauces. For Cho, cooking food is much more than a hobby – it’s her artform and her passion, a way to truly capture the essence of Nature and celebrate life. She believes real art should be good for human beings, in the same way that “eating right will keep you healthy”. In this Passion Speak event, Cho will share her expert tips and ideas about Korean cooking.

Art-lovers joined “Cho’s cooking” party

To celebrate Festive Korea, Cho has hosted Hansik party “Cho’s Cooking” in Fringe club on 9 October. She shared her ideas and experience of slow cooking of Korean cuisine. More than 20 art-lovers have joined the party. Frog King has given out his art pieces to guests during the gathering.

Frog King gave out his art pieces


正宗韓國餐饗優惠 盡享韓食風尚


多慶屋舉行韓國海苔試食活動、七間吉之島設韓國蔬果展銷 。

Fantastic ingredients, colorful dishes, refined and attentive production, serving with passion, these are characteristics of Korean cuisine. Developed in the natural environment with four distinct seasons, the concept of “food and medicine shared the same origin” deeply rooted in people’s minds. With this long-lasting belief, Korean food is not only delicious but nutritious, especially, beneficial to health.

In this Festive Korea, the Association of Korean Restaurant in Hong Kong together with HSBC jointly presented special offers in 28 Korean restaurants. In addition, aT Centre has organized Korean seaweeds tasting in 14 Takeya and fresh fruit promotion in 7 JUSCO in different districts in Hong Kong.